
Stachethemes Event Calendar version 5 Shortcode Parameters

Calendar Shortcode Parameters

Please note that the parameters are also available in the calendar dashboard. You can access the calendar dashboard to configure and customize various settings to meet your specific needs and preferences. Here are some of the available parameters:

Calendar shortcode: [stec] or [stachethemes_ec]

Gutenberg block: /stec or click "Browse all" and navigate to the "Stachethemes" section.

Elementor widget: The calendar widgets are available under "Stachethemes" section or in "Search widget" input type "stec"

Calendar Settings:

  • calendar__layout - Calendar initial layout view
    Values: agenda, month, week, grid, boxgrid, map
  • calendar__layouts - Available layout switch buttons in the top menu
    Values: agenda, month, week, grid, boxgrid, map
  • calendar__dow - First day of the week (0 – 6)
    Values: Numeric value representing the day of the week (0 – Sunday, 1 – Monday, …, 6 – Saturday)
  • calendar__use_user_timezone - Display the events dates in user timezone ( true / false )
  • calendar__show_tz_offset - Show timezone abbreviation
    Values: true (on), false (off)
  • calendar__date_format - Date format
    Values: "stec_dmy" (day-month-year), "stec_mdy" (month-day-year), "stec_ymd" (year-month-day), "wp" (WordPress default)
  • calendar__time_format - Time format
    Values: "stec_12" (12-hour format), "stec_24" (24-hour format), "wp" (WordPress default)
  • calendar__top_enabled - Display calendar top menu ( true / false )
  • calendar__top_today_button - Show today button in the top bar
    Values: true (on), false (off)
  • calendar__top_nav_buttons - Show navigation buttons in the top bar
    Values: true (on), false (off)
  • calendar__top_datepicker_menu - Show datepicker menu in the top bar
    Values: true (on), false (off))
  • calendar__top_search_menu - Show search menu in the top bar
    Values: true (on), false (off)
  • calendar__top_filters_menu - Show filters menu in the top bar
    Values: 0 (off), 1 (toggle), 2 (static)
  • calendar__top_layouts_menu - Show layouts menu in the top bar
    Values: true (on), false (off)
  • calendar__top_inline_categories - Display categories inline below the top menu ( true / false )
  • calendar__top_categories_start_inactive - Uncheck all categories by default ( true / false )
  • calendar__open_events_in - Open events in
    Values: "calendar" (within the calendar view), "modal" (in a modal window), "single" (in a single event view), "external" (in an external link)
  • calendar__links_target - Links target
    Values: "_self" (same tab/window), "_blank" (new tab/window)

Filter Settings:

  • filter__location - Filter events by location ID
  • filter__organizer - Filter events by organizer ID
  • filter__guest - Filter events by guest ID
  • filter__category - Filter events by category ID
  • filter__calendar - Filter events by calendar ID
  • filter__min_date - Filter events by minimum date. See accepted values.
  • filter__max_date - Filter events by maximum date. See accepted values.
  • filter__start_date - Set calendar initial date. See accepted values.
  • filter__featured - Filter events by featured status
  • filter__read_permission - Filter events by read permission
  • filter__author - Filter events by author ID
  • filter__attendee - Includes only events that have the attendee in it.
    Values: attendee id, email address or “current_user”.
  • filter__events - Include only following events by ID.

Layout Settings:

-- begin --
Density functional theory data (ωB97M-V/def2-TZVPD) for a 3-piece molecular cluster, C25H24B2Cl3F6O3S overall in a non-equilibrium geometry.

The geometry in XYZ format:
```
64
Properties=species:S:1:pos:R:3:forces:R:3
Cl 2.28541 -0.84460 2.57876 -0.23 0.43 -0.14
B -0.12631 1.27956 3.04070 -0.47 -0.57 -1.62
Cl -0.47506 0.28919 4.48797 -0.01 0.18 -0.17
Cl 0.97512 2.68539 3.19462 -0.32 0.01 0.41
O -0.55849 1.01446 1.80158 1.84 3.29 2.65
C -1.00691 0.04883 0.97317 -1.94 -2.01 -1.36
C -2.41598 -0.07679 0.92643 2.80 -0.21 -0.19
C -3.11248 1.11691 1.13826 -0.60 0.42 0.55
C -4.33420 1.01974 1.74137 -0.62 -1.04 0.09
C -4.89968 -0.26848 1.87456 -0.78 -0.13 0.40
C -4.27385 -1.47012 1.45953 0.61 0.50 -0.30
C -3.01398 -1.35714 0.88902 -1.04 -0.51 0.20
H -0.44243 -0.84402 1.08782 0.24 -0.92 0.03
H -2.58643 2.05070 0.97318 -0.11 -0.01 0.24
H -4.83318 1.89364 2.16395 -0.13 -0.24 -0.39
H -5.90175 -0.35923 2.25747 -0.24 0.09 0.38
H -4.73533 -2.46721 1.62606 0.24 1.03 -0.21
H -2.43881 -2.21642 0.51058 -0.19 0.36 0.50
C 0.18294 0.07071 -6.24301 0.47 -0.78 -0.38
C -0.40772 0.38149 -4.90316 -0.75 1.57 1.12
C -0.83463 1.64318 -4.51042 0.63 -1.63 0.37
C -1.50821 1.69907 -3.26884 -0.13 -0.65 0.67
C -1.72340 0.47706 -2.57287 1.39 0.90 -4.21
B 1.82734 -0.16873 1.00198 -0.66 0.58 -3.09
C -3.06651 0.08910 -2.17571 -0.76 -1.15 -0.26
C -3.51013 -1.26053 -2.22947 0.75 0.68 0.66
C -4.77890 -1.58347 -1.79371 -0.55 0.26 0.05
C -5.20580 -3.00088 -1.58137 -0.08 -0.68 0.66
F -6.17540 -3.41334 -2.44826 0.45 0.16 0.35
F -4.17371 -3.87765 -1.69104 -0.62 0.36 -0.03
F -5.73621 -3.17606 -0.31785 0.29 -0.04 -1.43
C -5.70092 -0.59659 -1.43884 0.80 0.35 -0.15
C -5.29738 0.73062 -1.54700 -1.19 -0.56 0.18
C -6.23964 1.82547 -1.12210 0.04 0.84 1.04
F -5.57276 2.69884 -0.27717 -1.01 -0.65 -1.00
F -6.71054 2.59413 -2.15091 0.26 -0.55 0.53
F -7.33651 1.37260 -0.43562 1.00 0.41 -0.76
C -4.03277 1.06943 -1.95619 0.55 0.29 0.30
O 1.62854 -1.06240 -0.08192 0.28 0.22 0.85
C 2.78843 -1.02522 -0.93849 -1.45 -0.24 1.18
C 3.21270 0.45535 -1.21078 -0.55 0.24 0.52
C 4.51125 0.63718 -0.44661 0.57 0.31 -0.32
C 3.29977 0.63059 -2.69858 0.33 0.02 -0.09
C 2.26581 1.60858 -0.67285 -0.45 -1.67 1.16
O 1.82496 1.16355 0.63870 0.60 -0.47 1.02
S -0.79926 -0.72610 -3.61562 -0.46 0.19 0.29
H 0.22592 0.93709 -6.93069 -0.23 -0.17 0.69
H 1.21976 -0.32069 -6.20235 -0.50 0.06 0.14
H -0.43868 -0.69522 -6.74232 0.34 0.22 0.13
H -0.66763 2.48551 -5.13461 0.02 0.72 -0.37
H -1.93265 2.65306 -2.98801 -0.25 -0.14 0.30
H -2.80960 -2.04661 -2.51544 -0.25 0.22 0.22
H -6.66784 -0.85253 -1.05638 -0.27 -0.07 0.13
H -3.78950 2.11906 -2.08981 0.05 -0.17 0.28
H 3.48385 -1.61442 -0.30123 0.62 0.53 -1.05
H 2.54306 -1.60956 -1.85323 0.14 0.57 0.50
H 4.89709 1.62497 -0.69434 0.35 0.10 0.18
H 4.40550 0.55735 0.65426 -0.13 0.01 -0.65
H 5.21985 -0.11573 -0.78831 0.27 -0.01 0.13
H 3.64891 1.64419 -2.89799 0.06 0.00 -0.44
H 4.00625 -0.11280 -3.07169 0.03 0.17 -0.46
H 2.30142 0.47049 -3.14138 0.44 0.09 0.05
-- stop --

  • layouts__agenda_list - Show agenda list section
    Values: true  (on), false (off)
  • layouts__agenda_list_unbound - Continue to display events, even if they fall outside the active month
    Values: true (on), false (off)
  • layouts__agenda_list_months_ahead - Requires unbound mode. How far too look for events. E.g. "60" for 5 years. Defaults to 24
  • layouts__agenda_list_limit - Number of events to display per click
  • layouts__agenda_list_next_button - Show "next" button
  • layouts__agenda_list_reverse_order - Revese events list ( newest to oldest). Values: true of false
  • layouts__agenda_slider - Show agenda slider section
    Values: true  (on), false (off)
  • layouts__grid_gutter - Grid layout gutter
    Values: Numeric value (e.g., 10, 20, etc.)
  • layouts__grid_columns - Grid layout columns
    Values: Numeric value (e.g., 2, 3, 4, etc.)
  • layouts__grid_limit - Number of events to display per click
    Values: Numeric value (e.g., 10, 20, etc.)
  • layouts__grid_unbound - Continue to display events, even if they fall outside the active month
    Values: true  (on) / false (off)
  • layouts__grid_months_ahead - Requires unbound mode. How far too look for events. E.g. "60" for 5 years. Defaults to 24
  • layouts__grid_next_button - Display "next" button in the grid layout ( true / false )
  • layouts__grid_reverse_order - Reverse events order ( newest to oldest ). Values: true or false
  • layouts__boxgrid_gutter - Boxgrid layout gutter
    Values: Numeric value (e.g., 10, 20, etc.)
  • layouts__boxgrid_columns - Boxgrid layout columns
    Values: Numeric value (e.g., 2, 3, 4, etc.)
  • layouts__boxgrid_limit - Number of events to display per click
    Values: Numeric value (e.g., 10, 20, etc.)
  • layouts__boxgrid_unbound - Continue to display events, even if they fall outside the active month
    Values: true (on), false (off)
  • layouts__boxgrid_months_ahead - Requires unbound mode. How far too look for events. E.g. "60" for 5 years. Defaults to 24
  • layouts__boxgrid_reverse_order - Reverse events order ( newest to oldest ) Values: true or false
  • layouts__month_week_force_title - Display event title on each cell in month and week layout
    Values: true (on), false (off)
  • layouts__month_week_style - Month and week layout style
    Values: "fixed", "auto"
  • layouts__map_list - Show map list section
    Values: true (on), false (off)
  • layouts__map_allow_near_me - Allow “near me” button in map layout
    Values: true (on), false (off)
  • layouts__map_proximity_ranges - Proximity ranges. Example: 1,10,100. Units are in km.
  • layouts__map_zoom - Map zoom. 1 - 16
  • layouts__map_coords - Initial map coordinates

Dashboard Settings:

  • dashboard__in_calendar - Show dashboard button in calendar
    Values: true (on), false (off)

Miscellaneous Settings:

  • misc__address_order - Address order
    Values: Comma-separated values “country,state,city,address,postal_code”
  • misc__min_allowed_year - Minimum allowed year for date navigation
    Values: Numeric value (e.g., 2000, 2010, etc.)
  • misc__max_allowed_year - Maximum allowed year for date navigation
    Values: Numeric value (e.g., 2022, 2030, etc.)

Shortcode Examples:

[stec filter__calendar=1]
[stec filter__category=101,102,103]
[stec filter__organizer="201"]
[stec calendar__layout=grid calendar__layouts="grid,boxgrid,map"]
[stec calendar__open_events_in="modal"]
[stec filter__min_date="now" filter__max_date="2_years_ahead"]
[stec filter__min_date="start_of_this_month" filter__max_date="end_of_this_month"]
[stec filter__min_date="2023-01-01" filter__max_date="2023-12-31"]